ToryDiary: You can't stamp out lobbying (because we're all lobbyists)
Peter King on Platform: The lessons to be learnt from the Right to Buy, thirty years on
### Here the article breaks off for crystal structures
~~~
Entry 1:
Here is an optimized crystal structure of MnBeW from Alexandria. Energies are from PBE.

Summary:
E_form: 52 meV/atom
E: -8.56 eV/atom
Space group: I4mm

Lattice parameters (Å, degrees): 4.5349 4.5349 4.5349 141.82 141.82 55.11
Fractional positions:
Be: 0.9879 0.9879 0.0000
Mn: 0.3443 0.3443 0.0000
W: 0.6678 0.6678 0.0000

Entry 2:
Here is an optimized crystal structure of RbMn3Tl from Alexandria. Energies are from PBE.

Summary:
E_form: 1113 meV/atom
E: -5.06 eV/atom
ΔE to the lowest computed polymorph: 0.000 eV per atom
Space group: Pm-3m

Lattice parameters (Å, degrees): 5.3498 5.3498 5.3498 90.00 90.00 90.00
Each line ends with the local moment (μB).
Fractional positions:
Tl: 0.0000 0.0000 0.0000  -0.06
Mn: 0.0000 0.5000 0.0000  4.11
Mn: 0.0000 0.0000 0.5000  4.22
Mn: 0.5000 0.0000 0.0000  3.91
Rb: 0.5000 0.5000 0.5000  -0.01

Entry 3:
Here is an optimized crystal structure of Tb7NdY12 from Alexandria. Energies are from PBE.

Summary:
E_form: 678 meV/atom
E: -5.06 eV/atom
ΔE to the lowest computed polymorph: 0.397 eV per atom
Space group: Im-3m

Lattice parameters (Å, degrees): 9.7874 9.7874 9.7874 109.47 109.47 109.47
Fractional positions:
Tb: 0.5000 0.5000 0.0000
Tb: 0.0000 0.5000 0.5000
Tb: 0.5000 0.0000 0.5000
Tb: 0.5000 0.5000 0.5000
Tb: 0.0000 0.0000 0.5000
Tb: 0.5000 0.0000 0.0000
Tb: 0.0000 0.5000 0.0000
Nd: 0.0000 0.0000 0.0000
Y: 0.4947 0.7473 0.7474
Y: 0.9999 0.7473 0.2526
Y: 0.5053 0.2527 0.2526
Y: 0.0001 0.2527 0.7474
Y: 0.7474 0.0001 0.2527
Y: 0.7474 0.4947 0.7473
Y: 0.2526 0.9999 0.7473
Y: 0.2526 0.5053 0.2527
Y: 0.7473 0.7474 0.4947
Y: 0.2527 0.2526 0.5053
Y: 0.7473 0.2526 0.9999
Y: 0.2527 0.7474 0.0001

Entry 4:
Here is an optimized crystal structure of CuSb2PdI from Alexandria. Energies are from PBE.

Summary:
Energy relative to the elements, uncorrected: 0.659 eV per atom
E: -3.16 eV/atom
Space group: P4/mmm

Lattice parameters (Å, degrees): 5.0263 5.0263 5.3610 90.00 90.00 90.00
Fractional positions:
I: 0.0000 0.0000 0.5000
Sb: 0.0000 0.5000 0.0000
Sb: 0.5000 0.0000 0.0000
Cu: 0.0000 0.0000 0.0000
Pd: 0.5000 0.5000 0.5000


A plane-wave DFT calculation with GGA-PBE was carried out for a relaxed structure of Cu8Re.

Output
As for the crystal system: tetragonal. The density of states at the Fermi level is 0.732 states/eV/atom. The calculation puts the formation enthalpy at 0 K at 190 meV/atom. As for the volume: 12.44 A^3/atom. The final energy comes out at -43.51 eV/cell. Its density is 10305 kg/m3.

```
Cu8Re
~~~
Parliament: The full text of Ian Paisley's last speech in the House of Commons
ThinkTankCentral: Policy Exchange warns that VAT rise could damage economic growth
Alex Deane on CentreRight: Tomorrow, it becomes a crime to incite hatred on the grounds of sexual orientation
Parliament: The detailed questions which the Government has to answer about the lobbying scandal as put by Sir George Young this afternoonA new section on ConservativeHome:
ThinkTankCentral: Clashes with Tories likely on EU, trade union power and international aid as The TaxPayers' Alliance publishes its manifesto
Two polls last night gave the Conservatives leads of 4% and 7% - Yesterday evening's ToryDiary
"Samantha Cameron beams last night after confirming she is expecting her fourth child with Conservative leader David. Sam, 38, said she and her hubby, 43, were "delighted" about the baby, due in September." - The Sun
"Like everybody else I send congratulations and wish the couple joy. But I tell you this - the subliminal message couldn't be better if they'd hired Simon Cowell to produce this event. It says: What could possibly cheer up this country more than a new start - and a new life?" - Bel Mooney in the Daily Mail
> Yesterday's ToryDiary: Mary/Thomas/Lucy/Rory/Isadora are favourite names
Michael Martin attacked for handling of Damian Green affair"Former Speaker Michael Martin has been condemned for failing to exert authority and stop an unprecedented police raid in the House of Commons. Two government departments and the police were also criticised by an investigation into the arrest of Tory MP Damian Green." - The Sun
> Yesterday's Parliament: Michael Martin heads the list of those to blame for the outrageous treatment of Damian Green in November 2008
Tory Facebook campaign gets a bad press"It was meant to embarrass Gordon Brown: a website,, that would point to the prime minister's links to the Unite union and be one of the first shots in the "digital election". But instead it rapidly turned to embarrassment for the Tory party after it was revealed that the site's template came from a rightwing American group that opposes President Barack Obama's cap-and-trade system – and then became the target of a mass Twitter hack that led to it showing pornography, swearwords, Rick Astley videos, malware links, and redirecting visitors to the Labour party site." - Guardian
Tory online experiment foiled as hackers crash ‘Cash Gordon’ website - Times
> CCHQ's Cash Gordon site is here.
Edward Leigh MP warns of escalating shortfall in the defence budget - Express
The SNP would be unwise to truck with a minority Tory government - Lesley Riddoch in The Guardian
BBC investigation reveals that MPs, including ten Tories, broke rules on overseas trips from foreign governments - BBC
Who is worse for Labour: Stephen Byers or Tony Woodley?"These are bad times for Stephen Byers. It may come to nothing, but there is dark talk that he should be suspended from the parliamentary party, or even the party itself for bringing Labour into disrepute. Some in Downing Street think he is doing more damage to the party than Tony Woodley, the joint general secretary of Unite. Either way between the BA picket lines and Byers announcing he is a cab for hire, Brown is losing more precious time than he would like voters to devote to taking "another long hard look" at the Tories." - Patrrick Wintour in The Guardian
The Sun Says: "Byers was a useless Transport Secretary. Hewitt was a smugly incompetent Health Secretary. Hoon was a disaster as Defence Secretary. On TV last night we saw them boasting of changing Government policy and getting special access to ministers. So much for Mr Brown's great promises of cleaner politics. Once again the Labour Party is in the gutter."
> Yesterday's LeftWatch: Gordon Brown "satisfied there is no need for further government investigation" into Byers and the cash for influence scandal
Nick Clegg calls for cross-party council for financial stability"The Liberal Democrats called for all three main parties to work together after the election in a “council for financial stability”, to agree the basic timetable and scale of deficit reduction. Nick Clegg, Lib Dem leader, said cross-party consensus was needed on the big issues facing the economy, regardless of the result of the general election." - FT
"I cannot help feeling that all the recent talk of militant unionists and irresponsible bankers is a useful distraction for a bunch of politicians without much policy." - Philip Stephens in the FT
A Canadian model for David Cameron - In City AM, Tasha Kheiriddin recommends the tax and spending cutting Ontario government of Mike Harris as a model
Brown planning to make 'no VAT rise' pledge"I get the impression that senior ministers would take a goalless draw from tomorrow's Budget. If polls do not show a widening of the lead for the Tories they would regard it as a success. But as far as Brown is concerned the Budget will not be his last word on economic policy. In the election campaign it is highly likely that he will pledge not to increase VAT for the whole of the next Parliament, a move that would put the focus on the Tories' plans and what Osborne plans to declare in his recklessly pre-announced "emergency Budget"." - Steve Richards in The Independent
Anyone got an idea for the Labour manifesto? - Rachel Sylvester finds Brown's policy cupboard bare - Times
### What comes next are materials data, not part of the text
~~~
(1)
A plane-wave DFT calculation with PBE was carried out for a relaxed structure of Si2PPt.

Cell and atoms, written as CIF:
```
data_Si2PPt
_chemical_formula_sum 'Si2 P1 Pt1'
_cell_length_a 5.415
_cell_length_b 5.415
_cell_length_c 5.415
_cell_angle_alpha 151.01
_cell_angle_beta 128.66
_cell_angle_gamma 60.04
_space_group_name_H-M_alt 'P 1'
_space_group_IT_number 1
_space_group_name_Hall 'P 1'
loop_
_atom_site_label
_atom_site_type_symbol
_atom_site_fract_x
_atom_site_fract_y
_atom_site_fract_z
_atom_site_occupancy
Si1 Si 0.245 0.245 0.000 1
Si2 Si 0.755 0.755 0.000 1
P1 P 0.500 0.000 0.500 1
Pt1 Pt 0.000 0.500 0.500 1
```

Results
The energy relative to the elements, uncorrected comes out at 23.30 kJ/mol of atoms. For the total magnetization, the calculation gives 0.0 μB/f.u. The value obtained for the density of states at the Fermi level is 0.507 states/eV/atom.

(2)
A plane-wave DFT calculation with PBE was carried out for a relaxed structure of SiP2Pt.

Cell and atoms, written as CIF:
```
data_SiP2Pt
_chemical_formula_sum 'Si1 P2 Pt1'
_cell_length_a 4.380
_cell_length_b 4.380
_cell_length_c 4.380
_cell_angle_alpha 60.00
_cell_angle_beta 60.00
_cell_angle_gamma 60.00
_space_group_name_H-M_alt 'P 1'
_space_group_IT_number 1
_space_group_name_Hall 'P 1'
loop_
_atom_site_label
_atom_site_type_symbol
_atom_site_fract_x
_atom_site_fract_y
_atom_site_fract_z
_atom_site_occupancy
Si1 Si 0.000 0.000 0.000 1
P1 P 0.250 0.250 0.250 1
P2 P 0.750 0.750 0.750 1
Pt1 Pt 0.500 0.500 0.500 1
```

Results
The energy relative to the elements, uncorrected comes out at 36.10 kJ/mol of atoms. For the total magnetization, the calculation gives 0.0 μB/f.u. For the polymorph energy (0 for the lowest one), the calculation gives 658 meV per atom. The value obtained for the density of states at the Fermi level is 0.804 states/eV/atom.

(3)
A plane-wave DFT calculation with PBE was carried out for a relaxed structure of SiPPt.

Cell and atoms, written as CIF:
```
data_SiPPt
_chemical_formula_sum 'Si4 P4 Pt4'
_cell_length_a 5.926
_cell_length_b 5.979
_cell_length_c 6.043
_cell_angle_alpha 90.00
_cell_angle_beta 113.26
_cell_angle_gamma 90.00
_space_group_name_H-M_alt 'P 1'
_space_group_IT_number 1
_space_group_name_Hall 'P 1'
loop_
_atom_site_label
_atom_site_type_symbol
_atom_site_fract_x
_atom_site_fract_y
_atom_site_fract_z
_atom_site_occupancy
Si1 Si 0.161 0.000 0.121 1
Si2 Si 0.334 0.499 0.441 1
Si3 Si 0.666 0.999 0.559 1
Si4 Si 0.839 0.500 0.879 1
P1 P 0.162 0.744 0.623 1
P2 P 0.332 0.245 0.942 1
P3 P 0.668 0.745 0.058 1
~~~
The public sector pension bill"The cost of gold-plated pension promises made to public sector workers has soared to nearly £1,200billion, a shocking report warned yesterday. This is the equivalent of sending a bill for £47,000 to every household in Britain, equal to nearly two years' salary for the average worker." - Daily Mail
Tax fears drive rich away from London - FT
A peer appointed to investigate the veracity of climate science has close links to businesses that stand to make billions of pounds from low-carbon technology - Times
Cowed Sarkozy reaches out to his enemies in post-election reshuffle - Independent